Transcribe only the lines further down with the word "Th1" in them.

********
Theoretical X-ray diffraction stick pattern
Compound: Ac8SmDy4
Radiation: a wavelength of 1.5418 Å
Structure: the GGA-PBE geometry in Alexandria

Structure:
```
data_Ac8SmDy4
_cell_length_a 11.7783
_cell_length_b 11.7783
_cell_length_c 14.4009
_cell_angle_alpha 90.00
_cell_angle_beta 90.00
_cell_angle_gamma 120.00
_symmetry_space_group_name_H-M 'R -3 m'
_symmetry_Int_Tables_number 166
_symmetry_space_group_name_Hall '-R 3 2"'
loop_
_atom_site_label
_atom_site_fract_x
_atom_site_fract_y
_atom_site_fract_z
_atom_site_occupancy
Ac1 0.0000 0.0000 0.2413 1
Ac2 0.0112 0.5056 0.7469 1
Sm1 0.0000 0.0000 0.5000 1
Dy1 0.0000 0.0000 0.0000 1
Dy2 0.0000 0.5000 0.0000 1
```

The 6 most intense peaks (2θ from 15° to 90°), by angle:
Position (°2θ)  I/Imax  h k l
21.3  17  2 0 2
30.4  100  2 2 0
43.5  19  4 0 4
54.0  40  6 0 0
71.7  17  6 2 4
87.7  15  8 2 0


Theoretical X-ray diffraction stick pattern
Compound: AcLa4PmTm2
Radiation: a wavelength of 1.5418 Å
Structure: the GGA-PBE geometry in Alexandria

Structure:
```
data_AcLa4PmTm2
_cell_length_a 11.655
_cell_length_b 5.244
_cell_length_c 10.522
_cell_angle_alpha 90.00
_cell_angle_beta 116.96
_cell_angle_gamma 90.00
_symmetry_space_group_name_H-M 'C 1 2/m 1'
_symmetry_Int_Tables_number 12
_symmetry_space_group_name_Hall '-C 2y'
loop_
_atom_site_label
_atom_site_fract_x
_atom_site_fract_y
_atom_site_fract_z
_atom_site_occupancy
Ac1 0.000 0.000 0.000 1
La1 0.247 0.000 0.870 1
La2 0.249 0.500 0.623 1
Pm1 0.000 0.000 0.500 1
Tm1 0.001 0.500 0.745 1
```

The 6 most intense peaks (2θ from 15° to 90°), by angle:
Position (°2θ)  I/Imax  h k l
29.6  100  1 1 2
34.1  17  2 0 -4
34.2  17  0 2 0
34.5  17  4 0 0
49.4  18  4 2 0
58.3  15  3 3 -2


Theoretical X-ray diffraction stick pattern
Compound: Ho2AlPd2
Radiation: a wavelength of 1.5418 Å
Structure: the GGA-PBE geometry in Alexandria

Structure:
```
data_Ho2AlPd2
_cell_length_a 7.451
_cell_length_b 7.451
_cell_length_c 7.594
_cell_angle_alpha 90.00
_cell_angle_beta 90.00
_cell_angle_gamma 90.00
_symmetry_space_group_name_H-M 'P 4/m n c'
_symmetry_Int_Tables_number 128
_symmetry_space_group_name_Hall '-P 4 2n'
loop_
_atom_site_label
_atom_site_fract_x
_atom_site_fract_y
_atom_site_fract_z
_atom_site_occupancy
Ho1 0.174 0.326 0.000 1
Al1 0.000 0.000 0.248 1
Pd1 0.133 0.633 0.250 1
```

The 6 most intense peaks (2θ from 15° to 90°), by angle:
Position (°2θ)  I/Imax  h k l
16.8  20  1 1 0
23.9  15  2 0 0
33.7  14  2 0 2
35.9  100  2 1 2
38.2  23  3 1 0
56.4  16  4 1 2


Theoretical X-ray diffraction stick pattern
Compound: MgZn7Rh4
Radiation: a wavelength of 1.5418 Å
Structure: the GGA-PBE geometry in Alexandria

Structure:
```
data_MgZn7Rh4
_cell_length_a 5.281
_cell_length_b 5.848
_cell_length_c 6.335
_cell_angle_alpha 74.86
_cell_angle_beta 80.76
_cell_angle_gamma 67.54
_symmetry_space_group_name_H-M 'P -1'
_symmetry_Int_Tables_number 2
_symmetry_space_group_name_Hall '-P 1'
loop_
_atom_site_label
_atom_site_fract_x
_atom_site_fract_y
_atom_site_fract_z
_atom_site_occupancy
Mg1 0.000 0.000 0.000 1
Zn1 0.113 0.171 0.366 1
Zn2 0.250 0.493 0.018 1
Zn3 0.316 0.655 0.353 1
Zn4 0.500 0.000 0.000 1
Rh1 0.182 0.341 0.693 1
Rh2 0.388 0.816 0.684 1
```

The 6 most intense peaks (2θ from 15° to 90°), by angle:
Position (°2θ)  I/Imax  h k l
40.0  51  0 2 2
40.2  100  0 2 -1
41.5  41  2 1 2
44.6  34  0 0 3
46.3  34  2 -1 0
50.2  24  2 3 1


Theoretical X-ray diffraction stick pattern
Compound: ThGaPt
Radiation: a wavelength of 1.5418 Å
Structure: the GGA-PBE geometry in Alexandria

Structure:
```
data_ThGaPt
_cell_length_a 4.505
_cell_length_b 22.020
_cell_length_c 7.821
_cell_angle_alpha 90.00
_cell_angle_beta 90.00
_cell_angle_gamma 90.00
_symmetry_space_group_name_H-M 'I m m 2'
_symmetry_Int_Tables_number 44
_symmetry_space_group_name_Hall 'I 2 -2'
loop_
_atom_site_label
_atom_site_fract_x
_atom_site_fract_y
_atom_site_fract_z
_atom_site_occupancy
Th1 0.000 0.000 0.000 1
Th2 0.000 0.164 0.063 1
Th3 0.000 0.331 0.002 1
Th4 0.000 0.500 0.057 1
********

Th1 0.000 0.000 0.000 1